Teens spent an unprecedented amount of time online in 2020, as the pandemic moved all of their social and academic interactions to virtual spaces. During this period, the killing of George Floyd in May 2020 sparked historic protests and brought renewed energies to the national reckoning with racism.
As the pandemic evolved and the Black Lives Matter movement gained momentum, researchers Ming-Te Wang and Juan Del Toro of the University of Pittsburgh’s Learning Research and Development Center tracked the online interactions of 602 adolescents in the US via daily surveys from March through November 2020 – 58% of participants in the study identified as Black.
Black teens report frequent racist interactions online
Black teens reported an alarmingly high level of encounters with online racism, with one in two experiencing one or more racist incidents online during the months the study was conducted. Researchers also tracked teens’ mental health throughout the study. They found that when Black youths experienced online racism, they were more likely to report worse mental health on the day of the incident and the day following. Researchers did not find that witnessing racial discrimination had any impact on the mental health of white teens.
The actual number of racist incidents was likely even higher, Del Toro tells HuffPost. The survey asked participants every day whether they had seen online someone say, “something mean or rude about them because of their racial or ethnic group.”
Del Toro added that they only measured one form of online racism. “There is a possibility that more types of unmeasured forms of online racial discrimination occurred,” Del Toro continues, “but we did not assess them.”
Brendesha Tynes, a professor of psychology and education at the University of Southern California, believes that the number of racist incidents that Black students encounter is significantly higher. Tynes has also studied Black students’ experiences with racism online.
In a different daily diary study of Black youth living in the northeast of the US, Tynes tells HuffPost, “we were able to find that Black youth have more than five discriminatory experiences per day. And the bulk of those experiences are online racial discrimination.”

The impact of racism and microaggressions on teens
Data records, as found in the file =
Li6Ni2C4SO16 | GGA+U | optimized geometry

a = 13.175 Å, b = 13.175 Å, c = 13.175 Å
α = 90.00°, β = 90.00°, γ = 90.00°
Space group Fd-3 (No. 203, origin choice 2)
One atom of each set of equivalent atoms:
Li  0.094  0.375  0.375 x48
Ni  0.000  0.000  0.500 x16
C  0.027  0.027  0.723 x32
S  0.125  0.125  0.125 x8
O  0.021  0.099  0.790 x96
O  0.059  0.059  0.059 x32

Calculated values
**Corrected total energy (MP2020 scheme)**: -6.96 eV per atom
**Final energy**: -6.402 eV per atom

=====

Computed, not measured: a relaxed structure of IrSe3Br9 at the PBE level of DFT.

Values from the calculation:
excess energy over the best structure of this formula in the dataset = 0.006 eV per atom
total energy = -2.8498 eV per atom
symmetry = P2_1/c (14)
magnetization = 0.000 μB per formula unit
formation energy from the elements = -0.600 eV/atom

Unit cell a=12.6014 b=9.9627 c=18.9728 alpha=90.00 beta=130.52 gamma=90.00
Sites, in units of the cell vectors:
Ir  0.2500  0.2403  0.0025
Ir  0.2500  0.2597  0.5025
Ir  0.7500  0.7403  0.4975
Ir  0.7500  0.7597  0.9975
Se  0.0044  0.1910  0.9119
Se  0.0044  0.3090  0.4119
Se  0.2441  0.2429  0.3729
Se  0.2441  0.2571  0.8729
Se  0.3263  0.0098  0.0391
Se  0.3263  0.4902  0.5391
Se  0.6737  0.5098  0.4609
Se  0.6737  0.9902  0.9609
Se  0.7559  0.7429  0.1271
Se  0.7559  0.7571  0.6271
Se  0.9956  0.6910  0.5881
Se  0.9956  0.8090  0.0881
Br  0.0965  0.6457  0.7457
Br  0.0965  0.8543  0.2457
Br  0.1207  0.6286  0.4444
Br  0.1207  0.8714  0.9444
Br  0.1223  0.6131  0.1119
Br  0.1223  0.8869  0.6119
Br  0.2139  0.2347  0.6183
Br  0.2139  0.2653  0.1183
Br  0.2222  0.0106  0.4675
Br  0.2222  0.4894  0.9675
Br  0.2778  0.0363  0.8399
Br  0.2778  0.4637  0.3399
Br  0.4028  0.5637  0.6854
Br  0.4028  0.9363  0.1854
Br  0.4505  0.1428  0.4155
Br  0.4505  0.3572  0.9155
Br  0.4877  0.7412  0.8727
Br  0.4877  0.7588  0.3727
Br  0.5123  0.2412  0.6273
Br  0.5123  0.2588  0.1273
Br  0.5495  0.6428  0.0845
Br  0.5495  0.8572  0.5845
Br  0.5972  0.0637  0.8146
Br  0.5972  0.4363  0.3146
Br  0.7222  0.5363  0.6601
Br  0.7222  0.9637  0.1601
Br  0.7778  0.5106  0.0325
Br  0.7778  0.9894  0.5325
Br  0.7861  0.7347  0.8817
Br  0.7861  0.7653  0.3817
Br  0.8777  0.1131  0.3881
Br  0.8777  0.3869  0.8881
Br  0.8793  0.1286  0.0556
Br  0.8793  0.3714  0.5556
Br  0.9035  0.1457  0.7543
Br  0.9035  0.3543  0.2543
While the University of Pittsburgh study found an immediate impact on teens’ mental health after an incident of online racism, there is also the cumulative effect of such experiences on the emotional wellbeing of young people during a pivotal stage of their development.
Kids often associate the internet with freedom, identifying online spaces where they can explore, for example, their sexual and gender identities under the safety offered by anonymity. But it’s this very anonymity that grants others cover to express hateful and harmful ideas without fear of consequence. I
t can be surprising for kids to experience this darker side of the online universe, said Cindy T Graham, a child psychologist practicing in Maryland. Graham is not affiliated with either study.
When a movement like Black Lives Matter experiences a surge of interest, as in the summer of 2020, “being active on social media often is a way for teens to be involved in [the] movement,” says Graham. Yet events like Floyd’s killing and the protests that followed galvanised people on both sides. Young activists may not be prepared for the backlash and the negativity that they will encounter, which can be particularly harsh in online spaces.
“Even though they may be aware and forewarned about the things that are out there on the internet, once you experience it for yourself, it’s at a different level,” Graham tells HuffPost.
Kids and teens may also bear the burden of online microaggressions, which can take the form of comments not intended to offend and other such slights. Examples include being mistaken for another student of the same race or being presumed to play a certain sport because of your race.
With “the teenage years being an important time for figuring out, defining, beginning to understand who you are as a person,” says Graham, “if you have frequent microaggressions that does start to chip away at how you view yourself.”
How parents can support kids facing racism
What can families do to support kids experiencing racism online? The first step is to let them know that you’re open to hearing about their online experiences, both good and bad. When a racist incident does occur, parents can also help kids make sense of it by putting it into context.
“Black parents are often really good at talking to their kids about their history, preparing them for racial bias,” says Tynes. “In this case, I think they should try to help their kids to place the messages in historical context, or to help them to see, ‘Oh, we’ve seen this before. They’ve tried to represent us as animals, they’ve tried to say these demeaning things about us when they wanted to justify slavery, or when they [wanted to] justify segregation.’”
Parents and other adults in kids’ lives can “feed them more of an accurate picture of Black people’s glorious history,” Tynes adds.
Acknowledging the “fear of wanting your child to be strong enough to deal with all of these negative things,” Graham cautions parents from putting pressure on kids to be “tough.” Life will bring plenty of hardships, racism included, and families can be sources of support, helping kids to remember “all of the positive things about themselves so that they do have that to fall back on” when they confront racist comments or assumptions.
For families of all racial backgrounds, open dialogue is key when it comes to online content. If kids are afraid of your reaction, they won’t share with you when something disturbing happens online, and then you won’t be able to offer support or advice.
When a racially charged incident makes the news, parents can ask teens if it was discussed at school or online, and what other kids were saying. Instead of jumping in with your own opinions, ask your child if they agree or disagree with what was said and how hearing it made them feel.
Graham also suggests that parents talk to their kids about “finding that balance between, is this a time and moment to argue back? Or is it something that you should just ignore, especially if the comments are directly aimed at the child?” Graham recommends parents encourage kids to see that sometimes, “it’s not being weak to not engage in the argument or fight.”
Parents of all races should encourage their kids to not be bystanders
It’s not only the perpetrators of racist incidents who are the problem; it’s also the vast number of white kids and kids of other racial identities who watch these incidents unfold and remain silent.
Tynes noted that it shouldn’t be surprising that white kids allow racist incidents online to go unchallenged during a time when teachers are being restricted in what they can teach about racism and history. But families can engage their kids on these topics, encouraging them to take an active role as allies.
Kids can be in a good position to speak up when they witness racism online and are not the intended target. And oftentimes, one person standing up and saying something is wrong inspires others to add their voices to the chorus. Graham notes that when racism arises online, “lots of times you will see that they will back down once you have people commenting.”
While their understanding of racism may be a work in progress, kids are fluent in the language of bullying, and, in this context, they know what it means to be an ally. Schools are increasingly motivated to take action even when the bullying occurs online, but they won’t know that it’s happening if students don’t report it. Even if your teen feels uncomfortable taking a public stance against an act of racism, they should know that they can take a screenshot and report the incident.
Parents, teachers and other adults can help kids learn how to confront racism by providing kids of all races with opportunities to share their experiences. They need to know that adults care about what is happening to them online.
“We should also create safe spaces where youth feel comfortable in sharing stories of discrimination and where they can learn from each other on how to cope with discrimination encounters,” Del Toro tells HuffPost.